Are you frustrated by climbing mortgage rates? Buying a home is a significant financial investment that will likely involve a mortgage. Over the duration of your mortgage, most money is spent on interest. Even small interest changes can impact payments.

[Misplaced crystal structures]
~~~
The following is a DFT calculation (GGA+U) of Li2CoSnO4 after structural relaxation.

Distance to the lowest polymorph of the same formula in meV/atom: 3.4
N(E_F) in states/eV per cell: 0.0
Space-group type: C2/c, No. 15
Electronic total energy in eV per atom: -5.74

abc: 6.1638 6.1639 6.0905
angles: 119.67 119.67 90.27
Last column: magnetic moment on the atom in μB.
Element x y z (fractional)
Co: 0.0000 0.0000 0.0000  2.68
O: 0.2507 0.2239 0.4876  0.08
O: 0.7471 0.2520 0.5099  0.03
Sn: 0.0000 0.5000 0.0000  -0.01
Li: 0.0000 0.5000 0.5000  0.00
O: 0.2239 0.2507 0.9876  0.08
Li: 0.5000 0.5000 0.5000  0.01
O: 0.7761 0.7493 0.0123  0.08
Sn: 0.5000 0.0000 0.5000  -0.01
O: 0.7480 0.2529 0.9901  0.03
O: 0.2520 0.7471 0.0099  0.03
Co: 0.0000 0.0000 0.5000  2.68
Li: 0.5000 0.0000 0.0000  0.00
Li: 0.5000 0.5000 0.0000  0.01
O: 0.7493 0.7761 0.5124  0.08
O: 0.2529 0.7480 0.4901  0.03


## HfSc2BeTe (PBE)

Data for a relaxed HfSc2BeTe crystal.

abc: 5.1930 5.2437 5.1930
angles: 90.00 90.00 90.00
Last column: nearest neighbours and their distance in Å.
Sites, in units of the cell vectors:
Sc 0.0000 0.0000 0.5000  2 Te 2.60
Sc 0.5000 0.0000 0.0000  2 Te 2.60
Be 0.5000 0.5000 0.5000  4 Hf 3.67, 8 Sc 3.69
Te 0.0000 0.0000 0.0000  4 Sc 2.60, 2 Hf 2.62
Hf 0.0000 0.5000 0.0000  2 Te 2.62

Properties
The calculation puts the uncorrected formation energy at 0.759 eV/atom. As for the symmetry: P4/mmm, No. 123.
~~~

In this article, we will discuss why mortgage rates in Toronto are increasing and their effect on homebuyers.

- - -
# 1
DFT (PBE-GGA) results for RbUSnS6 after structural relaxation.

## Properties
total magnetization: 1.00 μB/f.u.
space-group type: No. 5
VASP energy: -47.23 eV/cell
calculated density: 3.6 Mg/m³
formation energy from raw total energies: -0.6901 eV/atom
density of states at the Fermi level: 1.143 states/eV/atom

```
RbUSnS6
1.0
-3.709 5.248 -0.220
-1.775 2.459 -5.670
-6.621 -4.674 0.050
Rb S Sn U
1 6 1 1
Direct
0.000 0.000 0.000 Rb
0.353 0.643 0.312 S
0.004 0.354 0.312 S
0.642 0.353 0.688 S
0.353 0.004 0.688 S
0.004 0.642 0.688 S
0.642 0.004 0.312 S
0.666 0.666 0.500 Sn
0.333 0.333 0.500 U
```



# 2
DFT (PBE-GGA) results for CeSmPuMg after structural relaxation.

## Properties
total magnetization: 7.53 μB/f.u.
formation energy: 0.1326 eV per atom
space-group type: No. 216
VASP energy: -26.05 eV/cell
calculated density: 8.2 Mg/m³
density of states at the Fermi level: 3.664 states/eV/atom

```
CeSmPuMg
1.0
5.433 0.000 0.000
2.717 4.705 0.000
2.717 1.568 4.436
Pu Ce Mg Sm
1 1 1 1
Direct
0.250 0.250 0.250 Pu
0.500 0.500 0.500 Ce
0.750 0.750 0.750 Mg
0.000 0.000 0.000 Sm
```



# 3
DFT (PBE-GGA) results for Sc3CrRe after structural relaxation.

## Properties
total magnetization: 0.32 μB/f.u.
formation energy: 1.0146 eV per atom
space-group type: No. 221
VASP energy: -35.99 eV/cell
calculated density: 5.0 Mg/m³
density of states at the Fermi level: 2.099 states/eV/atom
distance to the lowest polymorph of the same formula: 31 meV per atom

```
Sc3CrRe
1.0
4.986 0.000 0.000
0.000 4.986 0.000
0.000 0.000 4.986
Re Cr Sc
1 1 3
Direct
0.000 0.000 0.000 Re
0.500 0.500 0.500 Cr
0.500 0.000 0.000 Sc
0.000 0.500 0.000 Sc
0.000 0.000 0.500 Sc
```



- Which of these has the highest density of states at the Fermi level?
  CeSmPuMg



- The lowest VASP energy belongs to which entry?
  RbUSnS6



- Number 1 is which compound?
  RbUSnS6



- Which value of density of states at the Fermi level does entry 2 give?
- - -
-- The records of crystals stop here --

What factors affect mortgage rates increasing in Toronto?

Suppose you shift your thinking to view mortgages as a product. In that case, you will realize that even financial institutions must be profitable. To make a profit, they must charge people a higher cost. Lenders profit on mortgages from interest payments more than what they pay in funding costs.

Funding costs comprise most of the interest paid on mortgages. Other factors influencing the price are the amount your lender requires to cover risk and operating costs. However, funding costs make up most of what homeowners pay in interest.

A relaxed structure of LiVSi2O6, computed with PBE+U.

Lattice parameters (Å, degrees): 7.0673 7.4035 7.4553 80.68 62.04 79.06
Closest atoms and distances in Å follow each position.
Fractional coordinates of all 30 atoms:
1 Li 0.0000 0.0000 0.0000  4 O 2.11-2.27
2 Li 0.1201 0.2583 0.2617  4 O 1.97-2.10
3 Li 0.8799 0.7417 0.7383  4 O 1.97-2.10
4 V 0.4546 0.7155 0.7482  4 O 1.92-2.09
5 V 0.5000 0.0000 0.0000  6 O 2.03-2.11
6 V 0.5454 0.2845 0.2518  4 O 1.92-2.09
7 Si 0.1832 0.6604 0.2496  4 O 1.61-1.69
8 Si 0.2538 0.3238 0.7941  4 O 1.60-1.69
9 Si 0.3026 0.8859 0.4733  4 O 1.61-1.68
10 Si 0.6974 0.1141 0.5267  4 O 1.61-1.68
11 Si 0.7462 0.6762 0.2059  4 O 1.60-1.69
12 Si 0.8168 0.3396 0.7504  4 O 1.61-1.69
13 O 0.0474 0.3192 0.7542  2 Si 1.62-1.63
14 O 0.1342 0.7748 0.4481  2 Si 1.66-1.69
15 O 0.2234 0.9099 0.7104  1 Si 1.61
16 O 0.2464 0.1687 0.9797  1 Si 1.64
17 O 0.2702 0.5267 0.8304  1 Si 1.60
18 O 0.2753 0.4468 0.2740  1 Si 1.61
19 O 0.3471 0.7787 0.0466  1 Si 1.65
20 O 0.3572 0.0652 0.3058  1 Si 1.64
21 O 0.4697 0.2611 0.5757  2 Si 1.68-1.69
22 O 0.5303 0.7389 0.4243  2 Si 1.68-1.69
23 O 0.6428 0.9348 0.6942  1 Si 1.64
24 O 0.6529 0.2213 0.9534  1 Si 1.65
25 O 0.7247 0.5532 0.7260  1 Si 1.61
26 O 0.7298 0.4733 0.1696  1 Si 1.60
27 O 0.7536 0.8313 0.0203  1 Si 1.64
28 O 0.7766 0.0901 0.2896  1 Si 1.61
29 O 0.8658 0.2252 0.5519  2 Si 1.66-1.69
30 O 0.9526 0.6808 0.2458  2 Si 1.62-1.63

Output

But how is funding cost determined?

National and Global Economies

Money that is lent comes from national and global investors/depositors. Funding costs drive interest rates found in these locations. Unfortunately, these rates can rise and fall based on several factors.

Times of strong economic growth generate higher interest rates. Meanwhile, weak overall growth stimulates lower interest rates. In a strong economy, more companies borrow money from investors to expand. Therefore, providers may pay higher interest rates to entice investors to lend money. With a weak economy, the reverse occurs.

Furthermore, Canadian banks borrow their money from other nations like the United States. Each country’s financial market is interconnected to other global markets. Thus, Canadian interest rates respond to what happens internationally. An example is found in 2019 when foreign interest rates decreased. This turn of events resulted in a decrease in Canadian five-year fixed mortgage rates.

The Bank of Canada’s Influence

Changes in interest rates are influenced by policy changes made by the Bank of Canada. With a strong economy, interest is raised to prevent inflation from rising above the target. In a weak economy, policy rates are lowered to prevent inflation from going below the target.

Policy interest rate changes result in similar fluctuations in short-term interest rates like the prime rate. The prime rate is a benchmark for pricing a variable-rate mortgage. It can also affect long-term rates if you expect the change to last longer.

Mortgage Characteristics Affect Payments

Past credit history and mortgage features impact your risk. Increased risks indicate higher interest rates. The most significant risk for a lender is that the person will not repay the loan. Higher credit scores eliminate the concern, which means you are better at paying the debt.

Furthermore, you may need mortgage default insurance if the mortgage is over 80% of your home. Since insurance protects the lender from default risk, you may obtain lower interest rates on uninsured mortgages with larger down payments.

Interest rate risks are also a factor. Most mortgages are renegotiated after five years but can be shorter or longer. The more that renegotiation occurs, the increased risk you will receive a different interest rate. If you are more comfortable with fixed rates for longer durations, then prepare to pay more.

Prepayment risks cost lenders money if the mortgage is repaid early. This occurs because your lender won’t make as much of a profit from funds raised, especially if interest has dropped. Open mortgages allow for early repayment but will have higher interest rates.

Consult Northwood Mortgage for Your Home-Buying Needs

Northwood Mortgage’s team of specialists will assist you in navigating through mortgage rates in Toronto. We will work with you to understand how interest rates can affect you and what your best options are.

Please book your appointment by calling us locally at 416-969-8130. If you are outside the Markham area, call us at 888-495-4825 or contact us here.